Material =
Model i:
First-principles (PBE-GGA) data for a relaxed structure of SiTeAuN2, as listed in Alexandria.

Lattice parameters (Å, degrees): 3.6561 3.6561 6.4973 90.00 90.00 90.00
With the nearest neighbours (Å) after each atom.
Space group P4/mmm (No. 123)
One atom of each set of equivalent atoms:
Si: 0.0000 0.0000 0.0000 x1  4 N 1.83
Te: 0.0000 0.0000 0.5000 x1  4 Au 2.59
Au: 0.5000 0.5000 0.5000 x1  4 Te 2.59
N: 0.0000 0.5000 0.0000 x2  2 Si 1.83

Results
Fermi-level density of states ... 3.5 states/eV per cell
M_tot ... 0.039 μB per atom

Model ii:
First-principles (PBE-GGA) data for a relaxed structure of SiTeAuN2, as listed in Alexandria.

Lattice parameters (Å, degrees): 3.9632 3.9632 7.6900 90.00 90.00 90.00
With the nearest neighbours (Å) after each atom.
Space group P4/mmm (No. 123)
One atom of each set of equivalent atoms:
Si: 0.0000 0.0000 0.0000 x1  4 Te 2.80
Te: 0.5000 0.5000 0.0000 x1  4 Si 2.80
Au: 0.5000 0.5000 0.5000 x1  4 N 1.98
N: 0.0000 0.5000 0.5000 x2  2 Au 1.98

Results
Fermi-level density of states ... 2.2 states/eV per cell
M_tot ... 0.547 μB per atom

Most stable one: model i, least stable one: model ii.

Model i:
First-principles (PBE-GGA) data for a relaxed structure of Sm4Au2N, as listed in Alexandria.

Lattice parameters (Å, degrees): 4.8819 4.8819 14.7595 90.00 90.00 90.00
With the nearest neighbours (Å) after each atom.
Space group I4/mmm (No. 139)
One atom of each set of equivalent atoms:
Sm: 0.0000 0.0000 0.1741 x4  1 N 2.57
Sm: 0.0000 0.5000 0.0000 x4  2 N 2.44
Au: 0.0000 0.0000 0.3709 x4  5 Sm 2.90-3.10
N: 0.0000 0.0000 0.0000 x2  6 Sm 2.44-2.57

Results
Fermi-level density of states ... 16.2 states/eV per cell
M_tot ... 0.000 μB per atom

Model ii:
First-principles (PBE-GGA) data for a relaxed structure of Sm4Au2N, as listed in Alexandria.

Lattice parameters (Å, degrees): 7.2109 12.9617 3.8213 90.00 90.00 90.00
With the nearest neighbours (Å) after each atom.
Space group Pbam (No. 55)
One atom of each set of equivalent atoms:
Sm: 0.1048 0.1842 0.0000 x4  1 N 2.50
Sm: 0.2258 0.9594 0.5000 x4  2 N 2.57
Au: 0.0766 0.6683 0.5000 x4  6 Sm 2.99-3.06
N: 0.0000 0.0000 0.0000 x2  6 Sm 2.50-2.57

Results
Fermi-level density of states ... 13.3 states/eV per cell
M_tot ... 0.163 μB per atom

Most stable one: model i, least stable one: model ii.

* * * * *

5
Lattice="5.4144 0.0000 0.0000 0.0000 5.4144 0.0000 0.0000 0.0000 5.3825" Properties=species:S:1:pos:R:3 comment="NaCaS2Cl PBE-GGA relaxed" m_tot_mub_per_cell=2.01 dft_energy_ev_per_atom=-3.523 formation_energy_uncorrected_mev_per_atom=-839 crystal_system=tetragonal space_group="No. 123" pbc="T T T"
Na 0.0000 0.0000 0.0000
Ca 2.7072 2.7072 2.6913
S 0.0000 2.7072 2.6913
S 2.7072 0.0000 2.6913
Cl 2.7072 2.7072 0.0000

4
Lattice="2.0443 1.1803 6.6841 -2.0443 1.1803 6.6841 0.0000 -2.3605 6.6841" Properties=species:S:1:pos:R:3 comment="NaCaSCl PBE-GGA relaxed" m_tot_mub_per_cell=0.00 dft_energy_ev_per_atom=-4.212 formation_energy_uncorrected_mev_per_atom=-1888 crystal_system=trigonal space_group="No. 160" pbc="T T T"
Na 0.0000 0.0000 0.0000
Ca 0.0000 0.0000 10.4137
S 0.0000 0.0000 5.1125
Cl 0.0000 0.0000 15.3233

To do =
Duplicate all of the rows further up verbatim.

Written answer =
Model i:
First-principles (PBE-GGA) data for a relaxed structure of SiTeAuN2, as listed in Alexandria.

Lattice parameters (Å, degrees): 3.6561 3.6561 6.4973 90.00 90.00 90.00
With the nearest neighbours (Å) after each atom.
Space group P4/mmm (No. 123)
One atom of each set of equivalent atoms:
Si: 0.0000 0.0000 0.0000 x1  4 N 1.83
Te: 0.0000 0.0000 0.5000 x1  4 Au 2.59
Au: 0.5000 0.5000 0.5000 x1  4 Te 2.59
N: 0.0000 0.5000 0.0000 x2  2 Si 1.83

Results
Fermi-level density of states ... 3.5 states/eV per cell
M_tot ... 0.039 μB per atom

Model ii:
First-principles (PBE-GGA) data for a relaxed structure of SiTeAuN2, as listed in Alexandria.

Lattice parameters (Å, degrees): 3.9632 3.9632 7.6900 90.00 90.00 90.00
With the nearest neighbours (Å) after each atom.
Space group P4/mmm (No. 123)
One atom of each set of equivalent atoms:
Si: 0.0000 0.0000 0.0000 x1  4 Te 2.80
Te: 0.5000 0.5000 0.0000 x1  4 Si 2.80
Au: 0.5000 0.5000 0.5000 x1  4 N 1.98
N: 0.0000 0.5000 0.5000 x2  2 Au 1.98

Results
Fermi-level density of states ... 2.2 states/eV per cell
M_tot ... 0.547 μB per atom

Most stable one: model i, least stable one: model ii.

Model i:
First-principles (PBE-GGA) data for a relaxed structure of Sm4Au2N, as listed in Alexandria.

Lattice parameters (Å, degrees): 4.8819 4.8819 14.7595 90.00 90.00 90.00
With the nearest neighbours (Å) after each atom.
Space group I4/mmm (No. 139)
One atom of each set of equivalent atoms:
Sm: 0.0000 0.0000 0.1741 x4  1 N 2.57
Sm: 0.0000 0.5000 0.0000 x4  2 N 2.44
Au: 0.0000 0.0000 0.3709 x4  5 Sm 2.90-3.10
N: 0.0000 0.0000 0.0000 x2  6 Sm 2.44-2.57

Results
Fermi-level density of states ... 16.2 states/eV per cell
M_tot ... 0.000 μB per atom

Model ii:
First-principles (PBE-GGA) data for a relaxed structure of Sm4Au2N, as listed in Alexandria.

Lattice parameters (Å, degrees): 7.2109 12.9617 3.8213 90.00 90.00 90.00
With the nearest neighbours (Å) after each atom.
Space group Pbam (No. 55)
One atom of each set of equivalent atoms:
Sm: 0.1048 0.1842 0.0000 x4  1 N 2.50
Sm: 0.2258 0.9594 0.5000 x4  2 N 2.57
Au: 0.0766 0.6683 0.5000 x4  6 Sm 2.99-3.06
N: 0.0000 0.0000 0.0000 x2  6 Sm 2.50-2.57

Results
Fermi-level density of states ... 13.3 states/eV per cell
M_tot ... 0.163 μB per atom

Most stable one: model i, least stable one: model ii.

* * * * *

5
Lattice="5.4144 0.0000 0.0000 0.0000 5.4144 0.0000 0.0000 0.0000 5.3825" Properties=species:S:1:pos:R:3 comment="NaCaS2Cl PBE-GGA relaxed" m_tot_mub_per_cell=2.01 dft_energy_ev_per_atom=-3.523 formation_energy_uncorrected_mev_per_atom=-839 crystal_system=tetragonal space_group="No. 123" pbc="T T T"
Na 0.0000 0.0000 0.0000
Ca 2.7072 2.7072 2.6913
S 0.0000 2.7072 2.6913
S 2.7072 0.0000 2.6913
Cl 2.7072 2.7072 0.0000

4
Lattice="2.0443 1.1803 6.6841 -2.0443 1.1803 6.6841 0.0000 -2.3605 6.6841" Properties=species:S:1:pos:R:3 comment="NaCaSCl PBE-GGA relaxed" m_tot_mub_per_cell=0.00 dft_energy_ev_per_atom=-4.212 formation_energy_uncorrected_mev_per_atom=-1888 crystal_system=trigonal space_group="No. 160" pbc="T T T"
Na 0.0000 0.0000 0.0000
Ca 0.0000 0.0000 10.4137
S 0.0000 0.0000 5.1125
Cl 0.0000 0.0000 15.3233